Seamounts off Brazil: It's
around underwater mountains that marine life will congregate
From BBC by Jonathan Amos
The quest to compile the definitive map of Earth's ocean floor has edged a little nearer to completion.
Modern measurements of the depth and shape of the seabed now encompass 20.6% of the total area under water.
The extra 1.6% is an expanse of ocean bottom that equated to about half the size of the United States.
The progress update on Seabed 2030 is released on World Hydrography Day.

The black is where we still need modern measurements at a reasonable resolution
The achievement to date still leaves, of course, four-fifths of Earth's oceans without a contemporary depth sounding.
But the GEBCO initiative is confident the data deficit can be closed this decade with a concerted global effort.
But the GEBCO initiative is confident the data deficit can be closed this decade with a concerted global effort.
"It doesn't matter whether you operate a high-tech fleet of ships or you're just a simple boat-owner - every piece of data matters in this giant jigsaw we're making," said project director, Jamie McMichael-Phillips.
"If you're going to sea for whatever reason, switch on your echosounder.
Even if you're just a yachtsman, a recreational sailor - then low-tech data-logging equipment is only a few hundred dollars, with the price coming down all the time.
"If you're going to sea for whatever reason, switch on your echosounder.
Even if you're just a yachtsman, a recreational sailor - then low-tech data-logging equipment is only a few hundred dollars, with the price coming down all the time.
Fit it, plug in your GPS, plug in your echosounder and help us get to 100% coverage by 2030," he told BBC News.

An elevated section of seafloor in front of a Greenland glacier helps protect it from incursions of warm ocean water that would otherwise melt the ice
When Seabed 2030 was launched in 2017, only 6% of the oceans had been mapped to modern standards.
So, it is possible to make swift and meaningful gains.
For example, a big jump in coverage would be achieved if all governments, companies, and research institutions released their embargoed data.
There's no estimate for how much bathymetry (depth data) is hidden away on private web servers, but the volume may be very considerable indeed.
Those organisations holding such information are being urged to think of the global good and to hand over, at the very least, de-resolved versions of their proprietary maps.
Seabed 2030 is not seeking 5m resolution of the entire floor (close to something we already have of the Moon's surface).
One depth sounding in a 100m grid square down to 1,500m will suffice; even less in much deeper waters.

The UK's new polar ship, the RRS Sir David Attenborough, is equipped to map millions of square km of ocean bottom over its career.
The above image shows the ship's hull in dry dock.
The yellow rectangle in the centre is a cover made of a synthetic material over the 8m-long array of transmit transducers for the deep-water multibeam echosounding system.
The receive array is at right angles to this, just behind the people in the photo, but difficult to see because it is covered by a material that has much less contrast with the rest of the hull.
Transducers for several other systems are also visible.
The yellow square next to the individuals' heads is the transmit transducer for the acoustic sub-bottom profiling system, which provides a profile showing the layers in the upper few metres of sediment.
The past 12 months have been hampered by the limitations Covid has placed on research cruises.
This is unfortunate because it's the science expeditions that will often visit those parts of the oceans where few other ships venture - into the Southern Ocean, for example.
That said, there've been some notable contributions of late from the research sector.
One of the most significant has come from the DSSV Pressure Drop, a ship funded by the Texan billionaire and adventurer Victor Vescovo.
His expeditions to the very deepest parts of Earth's oceans mapped an area equivalent to the size of France in just 10 months (an area the size of Finland within this had never been seen before)
Better seafloor maps are needed for a host of reasons.
They are essential for navigation, of course, and for laying underwater cables and pipelines.
They are also important for fisheries management and conservation, because it is around the underwater mountains that wildlife tends to congregate.
Each seamount is a biodiversity hotspot.
In addition, the rugged seafloor influences the behaviour of ocean currents and the vertical mixing of water.
This is information required to improve the models that forecast future climate change - because it is the oceans that play a pivotal role in moving heat around the planet.
This is unfortunate because it's the science expeditions that will often visit those parts of the oceans where few other ships venture - into the Southern Ocean, for example.
That said, there've been some notable contributions of late from the research sector.
One of the most significant has come from the DSSV Pressure Drop, a ship funded by the Texan billionaire and adventurer Victor Vescovo.
His expeditions to the very deepest parts of Earth's oceans mapped an area equivalent to the size of France in just 10 months (an area the size of Finland within this had never been seen before)
Better seafloor maps are needed for a host of reasons.
They are essential for navigation, of course, and for laying underwater cables and pipelines.
They are also important for fisheries management and conservation, because it is around the underwater mountains that wildlife tends to congregate.
Each seamount is a biodiversity hotspot.
In addition, the rugged seafloor influences the behaviour of ocean currents and the vertical mixing of water.
This is information required to improve the models that forecast future climate change - because it is the oceans that play a pivotal role in moving heat around the planet.
Fugro is operating 12m-long USVs as part of its Blue Essence fleet
If Seabed 2030 is to meet the end-of-decade target, it will have to leverage the emergence of robotic ships and boats.
Uncrewed Surface Vessels (USVs) are becoming increasingly popular.
Fugro, one of the world's leading marine geophysical survey companies, is building a fleet of USVs based on the Ocean X-Prize-winning SeaKit roboboat.
Fugro has two such boats surveying and inspecting oil-and-gas, wind farm, and power installations - in European waters and off Western Australia.
Together, they are known as the Blue Essence fleet.
These boats will even deploy and recover robotic subs.
"These drone-type, or uncrewed-type, solutions will make it easier to gather more data.
They can do a lot more work in the same amount of time," said Ivar de Josselin de Jong, Fugro's solution director for remote inspection.
Between two parts of the article: molecular data:
C4H8O2 | wB97M-V/def2-TZVPD

Structure (XYZ):
```
14
Properties=species:S:1:pos:R:3
C -1.263 -1.164 -0.218
C -0.824 -0.109 0.443
C -0.710 1.265 -0.130
H -1.317 -2.141 0.232
H -1.595 -1.089 -1.241
H -0.506 -0.202 1.475
H -1.021 1.280 -1.172
H 0.318 1.624 -0.061
H -1.335 1.959 0.431
O 2.997 0.893 -0.217
C 2.863 -0.155 0.340
O 2.245 -1.212 -0.149
H 3.246 -0.377 1.350
H 1.875 -1.021 -1.028
```

Calculated values
E_tot in eV: -8372.0587
SMILES: C=CC.O=CO
HOMO energy in eV: -9.77
E_LUMO in eV: 0.904
ΔE to the lowest compared entry with this formula, charge and spin in eV: 1.223
Spin multiplicity: 1

C21H19N3ORu | wB97M-V/def2-TZVPD

Structure (XYZ):
```
45
Properties=species:S:1:pos:R:3
Ru 0.538 0.576 0.251
C -1.189 1.109 4.177
C -0.355 1.238 3.070
N -0.604 0.611 1.922
C -1.726 -0.165 1.795
C -2.605 -0.353 2.877
C -2.306 0.312 4.085
C -3.721 -1.206 2.700
C -3.914 -1.845 1.500
C -3.054 -1.645 0.417
C -1.975 -0.772 0.520
N -1.056 -0.408 -0.438
C -1.137 -0.510 -1.801
C -2.160 -1.043 -2.587
C -2.047 -1.073 -3.978
C -0.949 -0.555 -4.624
C 0.081 0.070 -3.881
C 1.198 0.705 -4.464
C 2.108 1.366 -3.672
C 1.921 1.382 -2.292
N 0.908 0.740 -1.711
C -0.023 0.093 -2.479
H -0.940 1.628 5.091
H 0.531 1.860 3.096
H -2.964 0.192 4.937
H -4.403 -1.369 3.524
H -4.745 -2.527 1.382
H -3.217 -2.222 -0.480
H -3.068 -1.418 -2.146
H -2.850 -1.510 -4.555
H -0.872 -0.594 -5.703
H 1.320 0.684 -5.540
H 2.960 1.878 -4.095
H 2.587 1.926 -1.636
C 3.441 0.478 2.612
C 2.850 0.348 1.212
C 3.910 -0.051 0.179
O 2.132 1.476 0.845
H 4.041 -0.395 2.861
H 2.661 0.596 3.363
H 4.074 1.366 2.628
H 2.089 -0.536 1.238
H 4.563 0.803 -0.011
H 3.453 -0.369 -0.758
H 4.513 -0.869 0.566
```

Calculated values
Charge: +2
E_tot in eV: -31169.3678
HOMO energy (alpha / beta) in eV: -14.47 / -15.36
E_LUMO (alpha / beta) in eV: -6.956 / -8.982
Spin multiplicity: 5

C10H26BrLaN4O6P3 | wB97M-V/def2-TZVPD

Structure (XYZ):
```
51
Properties=species:S:1:pos:R:3
C -5.238 -1.514 -2.587
C -3.773 -0.925 -2.317
O -3.676 0.047 -1.716
N -2.625 -1.667 -2.921
C -2.053 -0.989 -4.126
C -1.588 -2.085 -1.921
C -0.769 -0.937 -1.258
C 0.728 -1.324 -0.961
C 1.058 -1.442 0.549
C 1.856 -0.237 1.168
N 3.088 0.040 0.466
C 0.917 1.036 1.259
N 1.565 2.267 0.730
P 0.883 2.685 -0.820
N -0.637 3.094 -0.617
P 1.443 3.593 1.864
O 1.477 4.897 0.888
Br -0.590 3.651 2.802
O 2.184 -0.683 2.478
C 3.154 0.163 3.123
P 2.840 0.063 4.954
O 4.008 0.349 5.731
O 1.591 1.079 5.251
O 2.258 -1.429 5.209
H -5.621 -2.110 -1.746
H -5.271 -2.104 -3.571
H -5.869 -0.637 -2.776
H -2.852 -0.395 -4.588
H -1.179 -0.362 -3.938
H -1.790 -1.789 -4.852
H -0.858 -2.720 -2.480
H -1.990 -2.744 -1.121
H -0.863 0.018 -1.788
H -1.226 -0.766 -0.272
H 1.417 -0.665 -1.501
H 0.879 -2.326 -1.394
H 0.160 -1.576 1.174
H 1.675 -2.337 0.701
H 3.603 -0.823 0.295
H 2.946 0.469 -0.442
H 0.635 1.137 2.314
H -0.008 0.794 0.718
H 1.618 3.743 -1.393
H 0.993 1.590 -1.709
H -1.263 2.487 -1.142
H 0.583 5.083 0.535
H 3.120 1.212 2.805
H 4.190 -0.176 2.993
H 0.820 0.759 4.754
"Technology is moving very fast. It's unbelievable what we do now compared with what we did 10 years ago.
"We can operate a USV in Australia from our remote operations centre in Aberdeen.
"We've got 26 crewed vessels at the moment and we want to gradually replace them - partially at least.
Where we don't need 'hands' in an offshore environment, we will move to uncrewed solutions, to reduce the health and safety exposure and to reduce carbon footprints," he told BBC News.
Fugro, one of the world's leading marine geophysical survey companies, is building a fleet of USVs based on the Ocean X-Prize-winning SeaKit roboboat.
Fugro has two such boats surveying and inspecting oil-and-gas, wind farm, and power installations - in European waters and off Western Australia.
Together, they are known as the Blue Essence fleet.
These boats will even deploy and recover robotic subs.
"These drone-type, or uncrewed-type, solutions will make it easier to gather more data.
They can do a lot more work in the same amount of time," said Ivar de Josselin de Jong, Fugro's solution director for remote inspection.
"Technology is moving very fast. It's unbelievable what we do now compared with what we did 10 years ago.
"We can operate a USV in Australia from our remote operations centre in Aberdeen.
"We've got 26 crewed vessels at the moment and we want to gradually replace them - partially at least.
Where we don't need 'hands' in an offshore environment, we will move to uncrewed solutions, to reduce the health and safety exposure and to reduce carbon footprints," he told BBC News.
Unmapped areas of the ocean floor, as per the 2020 dataset. Due to COVID, the coverage only progressed from 19 percent last year to 20.6 percent this year
Credit: Andrew Douglas-Clifford / The Map Kiwi.
To mark World Hydrography Day, The Nippon Foundation-GEBCO Seabed 2030 Project has entered a technical cooperation agreement with the UK Hydrographic Office and Teledyne CARIS, a leading developer of marine mapping software.
Building the definitive map of Earth's ocean floor means collating colossal volumes of data.
The new tie-up will see a new artificial intelligence tool being used to clean bathymetric data of "noise", making it easier to pull out reliable depth soundings.
Links :
Bloomberg : To Save Earth’s Climate, Map the Oceans